2017-2018 GWHS Scholarships and Financial Aid Information

Open Scholarship Searches

·  For a free search for other scholarships go to www.fastweb.comor www.studentscholarships.org

·  For additional "Offbeat" scholarships to help you pay for college: https://www.mint.com/blog/how-to/scholarships-03042011/

Crystal structures that have nothing to do with the text:
=====
# V3Pb5O12F GGA+U relaxed
data_V3Pb5O12F
_chemical_formula_sum 'V6 Pb10 O24 F2'
_cell_length_a 10.3799
_cell_length_b 10.3799
_cell_length_c 7.3170
_cell_angle_alpha 90.00
_cell_angle_beta 90.00
_cell_angle_gamma 120.00
_space_group_name_H-M_alt 'P 63/m'
_space_group_IT_number 176
_space_group_name_Hall '-P 6c'
loop_
_atom_site_label
_atom_site_type_symbol
_atom_site_fract_x
_atom_site_fract_y
_atom_site_fract_z
V1 V 0.0260 0.6162 0.2500
Pb1 Pb 0.0186 0.2435 0.2500
Pb2 Pb 0.3333 0.6667 0.5071
O1 O 0.0895 0.7349 0.0615
O2 O 0.1159 0.5103 0.2500
O3 O 0.1669 0.4971 0.7500
F1 F 0.0000 0.0000 0.0000
# - excess energy over the best structure of this formula in the dataset (meV per atom) = 12
# - total energy (eV per atom) = -6.561
# - ΔH_f (0 K) (eV per atom) = -2.119
=====

·  Click here for additional "Fun and Unique Scholarships" for High School Students

·  Scholarships in Texas List provided by Best Value Schools (www.bestvalueschools.com) - highlights a variety of college scholarships available to students residing in or planning to study in the state of Texas. http://www.bestvalueschools.com/scholarships-in/texas/

·  College Board: www.collegeboard.com

·  College Net: www.collegenet.com

·  Scholarships: www.scholarships.com

·  Scholarship Monkey: www.scholarshipmonkey.com

~~~
# 1
11
Lattice="-0.969 5.944 2.326 -0.321 0.133 -6.446 -4.536 -3.976 2.299" Properties=species:S:1:pos:R:3 comment="Eu3Ga4Ni4 (PBE, relaxed)" ef_ev_per_fu=-5.32 pbc="T T T"
Eu -2.753 0.984 2.312
Eu -0.645 3.038 -2.060
Eu -2.429 -1.922 -2.074
Ga -3.522 1.269 -1.101
Ga -0.383 2.351 0.920
Ga -1.794 -1.573 0.909
Ga -0.127 0.053 -2.550
Ni -1.399 0.504 -0.438
Ni -0.736 4.516 1.767
Ni -0.244 0.101 -4.898
Ni -3.447 -3.021 1.747

# 2
80
Lattice="-4.560 -9.882 1.142 -3.032 6.402 8.341 -3.306 4.476 -9.423" Properties=species:S:1:pos:R:3 comment="Eu3Ga5O12 (PBE, relaxed)" ef_ev_per_fu=-52.92 pbc="T T T"
Eu -2.690 0.490 2.235
Eu -8.207 0.506 -2.175
Eu -5.039 -4.933 -1.634
Eu -2.568 2.044 -1.306
Eu -4.397 1.655 5.506
Eu -5.859 5.929 1.695
Eu -8.330 -1.048 1.366
Eu -6.500 -0.659 -5.446
Eu -2.915 -1.786 -0.885
Eu -7.982 2.783 0.945
Eu -4.186 4.523 -3.796
Eu -6.711 -3.526 3.857
Ga -4.274 3.209 1.965
Ga -6.623 -2.213 -1.905
Ga -6.486 -1.250 6.977
Ga -4.534 0.692 -3.376
Ga -6.363 0.304 3.436
Ga -4.412 2.246 -6.917
Ga -5.736 7.483 -1.846
Ga -5.161 -6.487 1.907
Ga -4.813 -2.656 1.486
Ga -6.084 3.653 -1.426
Ga -6.848 -4.489 -5.025
Ga -4.049 5.486 5.085
Ga 0.000 0.000 0.000
Ga -3.933 -2.703 -4.140
Ga -3.169 5.439 -0.541
Ga -2.280 -4.941 0.571
Ga -3.796 -1.740 4.741
Ga -5.449 0.498 0.030
Ga -1.653 2.238 -4.711
Ga -1.516 3.201 4.170
O -4.310 -0.938 0.905
O -6.588 1.934 -0.845
O -3.861 -3.707 0.248
O -6.520 -5.636 -3.569
O -4.060 1.805 0.731
O -5.236 4.031 5.215
O -7.036 4.704 -0.188
O -4.377 6.632 3.629
O -6.838 -0.808 -0.671
O -5.661 -3.034 -5.155
O -4.072 5.872 -5.805
O -3.274 2.528 3.407
O -1.286 -0.129 -1.567
O -6.825 -4.875 5.865
O -7.623 -1.532 -3.346
O -9.611 1.125 1.627
O -5.898 0.523 7.208
O -4.227 3.957 -1.441
O -5.000 0.473 -7.148
O -6.671 -2.961 1.501
O -5.258 -7.339 -1.803
O -6.486 4.016 -3.228
O -5.640 8.336 1.863
O -4.412 -3.019 3.289
O -4.212 0.284 -1.567
O -6.651 1.737 4.622
O -6.686 0.712 1.627
O -4.247 -0.741 -4.562
O -5.388 6.741 -3.541
O -1.117 1.594 0.582
O -5.509 -5.744 3.601
O -9.781 -0.598 -0.521
O -4.286 2.712 7.683
O -6.154 -5.722 0.502
O -6.611 -1.716 -7.623
O -4.744 6.718 -0.442
O -3.348 2.137 -3.597
O -4.568 -0.092 3.838
O -7.549 -1.141 3.657
O -6.330 1.089 -3.777
O -5.370 3.224 -5.625
O -5.528 -2.227 5.685
O -1.363 -1.121 1.007
O -9.535 2.118 -0.946
O -7.198 -3.893 -1.281
O -3.699 4.890 1.342
O -4.833 -2.619 -2.321
O -6.065 3.615 2.381

# 3
20
Lattice="4.291 5.598 -2.119 -5.910 0.712 -4.336 -2.390 3.268 3.794" Properties=species:S:1:pos:R:3 comment="Eu3GaO6 (PBE, relaxed)" ef_ev_per_fu=-29.64 pbc="T T T"
Eu -0.343 3.265 0.773
Eu -1.340 7.150 -3.201
Eu -4.711 7.742 -1.777
Eu -3.714 3.857 2.198
Eu -2.921 4.043 -1.830
Eu -1.951 6.714 0.537
Ga -3.967 1.678 -3.880
Ga 1.114 6.318 -0.619
O -3.902 3.559 -4.066
O -3.403 1.614 -2.075
O 0.228 5.560 0.871
O -0.271 7.505 -1.120
O -0.873 2.886 -1.400
O -1.389 4.896 -3.456
O -2.905 6.376 -1.628
O -2.390 4.367 0.428
O -5.809 1.398 -3.691
O 2.304 7.490 0.229
O -5.347 3.957 -1.305
O 1.700 5.126 -1.931

# 4
~~~
**Back to the piece**

·  Zinch: www.zinch.com

·  Scholarship Points: www.scholarshippoints.com

·  www.capex.com

·  www.kaarnme.com

·  www.collegescholarships.com

·  www.weirdscholarships.net

·  Lend EDU Scholarship Guide and Search: https://lendedu.com/blog/scholarships

Free Application for Federal Student Aid

Federal Student Aid: Beginning October 1, 2017, parents of graduating seniors should start applying for financial aid using your 2016 tax return information. File early! Money is awarded on a first come first serve basis. Additional information and the FSFA application can be found at https://fafsa.ed.gov/

o  TEXAS DEADLINE: March 15th

Scholarship List

Name of Scholarship / Posted Date / Deadline / Age/Grade Level / Local / Description / Award Amount / School Attending / Link/Webpage
Capital Farm Credit’s Scholarship Sponsored by Kenedy Credit Office / 1/25/18 / 2/23/18
Applications must be received at the Kenedy Office by 2/23 / Seniors / No / Eligibility:
-Currently has no less than a “B” grade average
-Plans or goals related to fields in ag, education, or natural resources / 2 - $1,000 /
Select icon above to open the scholarship application
Live Oak Farm Bureau Scholarship / 1/25/2018 / 3/1/18 / Seniors / Yes / Complete the application including the 100 word essay.
-Open to all students who will be attending college next fall. Membership in LOCFB is not a requirement. / Up to $750 /
TX Dept. of Transportation – Conditional Grant Program / 1/25/2018 / 3/1/18
Postmarked by 3/1 / Seniors / No / Students must be seeking a degree in civil engineering.
Mail applications to:
HRD/Employment Opportunities/CGP
125 East 11th St.
Austin, TX 78701-2483 / $6,000 / http://ftp.dot.state.tx.us/pub/txdot-info/hrd/cgp-application.pdf
Texas Farm Bureau Scholarships / 1/25/2018 / 3/1/18
Applications must be submitted online no later than midnight / Seniors / No / Please refer to the specific scholarships for their eligibility criteria / Several $1,000 Awards / http://texasfarmbureau.org/youth/youth-opportunities/
Bean Dirks Memorial Scholarship / 11/15/17 / 3/1/2018 / Seniors / YES / The scholarship will be available starting December 15th.
Seniors must apply through the Coastal Bend Community Foundation. Students will complete the application, essay, submit their ACT/SAT scores, transcript, and FAFSA SAR. / TBA / CBC Foundation Main Page:http://www.cbcfoundation.org/
Scholarships: http://www.cbcfoundation.org/?page_id=1579
Outside Scholarships:http://www.cbcfoundation.org/?page_id=1715
2018 Southern Texas PGA Scholarship / 2/16/2018 / 3/13/2018 / Seniors / No / High school seniors and current college students are welcome to apply. There are many different kinds of scholarships offered but there is only one form necessary! You will be automatically sorted depending on which scholarships you qualify for. / TBA / http://www.stpga.com/scholarships/
FAFSA TX Deadline / 1/25/2018 / 3/15/2018 / Seniors / No / All students are encouraged to complete the FAFSA! / https://fafsa.gov/
Karnes Electric Cooperative, Inc. Scholarship / 1/25/2018 / 3/16/2018
Applications must be received in the Karnes County Office by 5 pm / Seniors / No / Seniors who are legal dependents of an active member receiving electric service from Karnes Electric. / 10-$1,500 / https://www.karnesec.org/community/scholarship-program/
Valley Telephone Cooperative Scholarship / 11/13/2017 / 3/16/2018 / Seniors / No / Applicant Must:
·  Be a dependent child of a current member of Valley Telephone Cooperative who resides in the Valley Telephone service territory & who has been a member of the Coop for at least one years
·  Be a HS senior & have a minimum grade average of 80%
·  Plan to enroll in a full-time undergraduate course of study at an accredited 2 or 4 year U.S. College or University in Fall, 2018 / 20 scholarships of $3,000 annually will be awarded / http://www.vtx1.net/corporate/my-community/scholarship-program/
Lagarto Community Club Scholarship / 2/16/2018 / 3/22/2018 (To GWHS Counselor by 3:30 PM) / Seniors / Yes / Complete the application and submit it prior to the deadline. / 3-$1,000 scholarships will be awarded /
Click on icon for scholarship
Lions Club: Youth Contest Outstanding Youth Award / 2/20/2018 / 3/23/2018
(To GWHS Counselor by 3:30 PM) / Juniors & Seniors / Yes / Complete the application and essay. If selected, you must be available to compete at the district competition on April 13th. / Up to $1,000 /
Click on icon for application
Lions Club: Diabetic Awareness Essay / 2/20/2018 / 3/23/2018
(To GWHS Counselor by 3:30 PM) / Juniors & Seniors / Yes / Complete the application and essay. If selected, you must be available to compete at the district competition on April 13th. / Up to $1,000 /
Click on icon for application
Lions Club: Drug Awareness Speech / 2/20/2018 / 3/23/2018
(To GWHS Counselor by 3:30 PM) / Juniors & Seniors / Yes / Complete the application and essay. If selected, you must be available to compete at the district competition on April 13th. / Up to $1,000 /
Click on icon for application
AFA Teens Scholarship Essay Contest / 1/25/2018 / 3/26/2018 / Seniors / No / HS seniors who are US citizens or permanent residents who plan to enter a four year college/university in 2018. / Awards range from $500-$5,000 / https://alzfdn.org/young-leaders-of-afa/afa-teens/
Julie Chapman Hardwick Memorial Scholarship / 2/16/2018 / 3/28/2018
(By 10:00 AM) / Seniors / Yes / Must be attending Texas A&M University in the fall of 2018. / $5,000 / Texas A&M, College Station / https://goo.gl/forms/Avgb8qgbTdHPrktJ2
LOC Area Go-Texan ACADEMIC Scholarship / 1/25/2018 / 3/28/2018
To GWHS office (for Mrs. Lee)
By 3:00 PM / Seniors / Yes / Eligibility:
·  Must apply for the HLSR Area Go-Texan Scholarship
·  Complete the LOC Area Go-Texan Application
·  US Citizen
·  Ranked in the top 1/3 of class
·  Seeking a Bachelor’s Degree / TBA /
LOC Area Go-Texan TECHNICAL Scholarship / 1/25/2018 / 3/28/2018
To GWHS office (for Mrs. Lee)
By 3:00 PM / Seniors / Yes / Eligibility:
·  Complete the Application
·  US Citizen
·  GPA of an 80 or higher
·  Students must be seeking a technical certification / TBA /
Texas Builders Foundation Scholarship / 2/16/2018 / 3/30/2018 / Eligibility:
·  Accepted or enrolled in a technical, trade school, community college, or university
·  Pursuing a construction related trade certification or construction degree / TBA / http://www.texasbuildersfoundation.org/what-we-do.html#Scholarship_Program
STARS Scholarship Fund / 2/16/2018 / 3/30/2018 / Seniors / No / Eligibility:
·  US Citizen
·  Permanent residence for 5 or more consecutive years and have permanent address in listed counties (Live Oak is one)
·  Earned/Completed at least 12 undergraduate credit hours
·  Minimum college GPA of 2.7 / TBA / https://www.starsscholarship.org/stars/home
Proud Texan Scholarship sponsored by The Law Office of Hilda L. Sibrian, P.C. / 9/18/2017 / 3/30/2018 / Seniors or college student / No / Scholarship Special Focus:
·  Minimum GPA is not required
·  Create a short (30-120 second) video and essay and upload your video to YouTube (topics on webpage) / $2,500 / https://hildasibrian.com/en/scholarship/
2018 TTA Foundation Scholarship / 10/30/2017 / 3/30/2018
(posted marked by the 30th – however, GWHS can only have 2 applications so see Mrs. Lee by 3/21) / Seniors / No / Eligibility:
·  US Citizen
·  Graduate no later than June 2018
·  GPA of 3.0 or higher
·  Plan to attend a TX college or university in the Fall of 2018
·  Special consideration will be given to students who will be pursuing a college degree in fields of study which are of particular interest to telecommunications (such as math, business, education, technology, engineering, and comp. sci., etc.) / 6 – four-year scholarships in the amount of $2,000 per year will be awarded / http://www.tta.org/
LULAC National Scholarship Fund (LNESC) / 2/16/2018 / 3/31/2018 / Seniors / No / Eligibility:
·  All seniors are encouraged to apply
·  National Awards: 3.5+ GPA, 29+ ACT, or 1350+ SAT
·  Honor Awards: 3.0+ GPA, 23+ ACT, 1100+ SAT / $250-$2,000 / https://www.lnesc.org/lnsf
Patriotic Art Contest / 11/13/2017 / 3/31/2018 / Grades 9 thru 12 / No / Art must be on paper or canvas. Watercolor, pencil, pastel, charcoal, tempera, crayon, acrylic, pen-and-ink, or oil may be used. Digital art is not accepted. / Up to $10,000 for National Winner / https://vfwauxiliary.org/scholarships/young-american-creative-patriotic-art-contest/
The Goodie Box Scholarship / 2/16/2018 / 4/1/2018
(Must be mailed to or hand deliver to The Goodie Box on or before 4/1) / Seniors / Yes / Eligibility:
·  Seniors
·  Complete the application and mail or hand deliver to The Goodie Box in Three Rivers, TX / 4-$400 will be awarded /
Click on icon for application
The Hilcorp Future Leaders of America Scholarship / 2/16/2018 / 4/2/2018 / Seniors / No / Eligibility:
·  Must enroll full-time at an accredited four-year college or university for Fall 2018
·  Minimum 3.0 GPA / Up to $10,000 (4-$2,500 per year) / https://www.ghcfscholar.org/
Lions Club Scholarship / 2/16/2018 / 4/3/2018
(submit online application by 10:00 AM) / Seniors / Yes / Seniors who will be attending a university or trade school in the fall can apply. / TBA / https://goo.gl/forms/X3KkROKQeVv0Xhd93
EX-Student Foundation Scholarshp / 2/16/2018 / 4/3/2018 (by 10:00 AM to GWHS) / Seniors / Yes / Senior applicant must have a parent that graduated from GWHS. / TBA /
Click on Icon for Application
Beverly Scott Memorial Scholarship / 2/19/2018 / 4/6/2018
(submit online application by 10:00 AM) / Seniors / Yes / Students who will be attending a college, university, or trade school in the fall should apply. / TBA / https://goo.gl/forms/pWnK00KmklwZb6N12
Charlie Younts Memorial Scholarship / 2/19/2018 / 4/6/2018
(submit online application by 10:00 AM) / Seniors / Yes / Students who will be attending a college, university, or trade school in the fall should apply. / TBA / https://goo.gl/forms/pWnK00KmklwZb6N12
Gus & Ethel Houdman Memorial Scholarship / 2/19/2018 / 4/6/2018
(submit online application by 10:00 AM) / Seniors / Yes / Students who will be attending a college, university, or trade school in the fall should apply. / TBA / https://goo.gl/forms/pWnK00KmklwZb6N12
ATPE Scholarship / 2/19/2018 / 4/6/2018
(submit online application by 10:00 AM) / Seniors / Yes / Students who will be attending a college, university, or trade school in the fall should apply. / TBA / https://goo.gl/forms/gEjOJc0ogRdOwlsU2
Costal Bend College Foundation Scholarships / 2/20/2018 / 4/11/2018 (Application opens 3/1) / Seniors (and Dual Credit Students) / No / Complete the application / TBA / http://coastalbend.edu/Foundation_Scholarships_and_Innovative_Teaching_Grants/
2018 WAMHS Rosario Carrizo Education Scholarship Awards / 1/25/2018 / 4/15/2018 / Seniors / No / Any student attending a 4 year-, 2 year-, vocational, or other accredited training programs that will enhance the recipient’s future opportunities in the workforce can apply.
-Must have applied to at least one college prior to the final submission deadline.
-Financial need, quality of writing, and substantive content of essays will be considered / 1-$750
2-$500 / http://www.wamhs.org/scholarships/
American Society of Safety Engineers Coastal Bend Chapter / 12/12/2017 / 4/13/2018
(mail to address provided) / Seniors / No / Completed applications must be mailed to the address provided. The scholarship will be awarded based on several factors and an applicant’s overall grade point average is not the sole determining factor. / $500 / https://cb.asse.org/aeolus-news/asse-coastal-bend-chapter-2018-scholarships/#more-2147
Society of Petroleum Engineers (SPE), INC. Southwest TX SPE Chapter Scholarship / 2/16/2018 / 4/15/2018
(Postmarked by 4/15) / Seniors / No / Application for Scholarship in Petroleum – Related Field / TBA /
Click icon for scholarship
Coastal Bend Crimestoppers Scholarship / 1/25/2018 / 4/20/2018 / Seniors / No / Senior in Bee, Goliad, or Live Oak county who plans to major in a law enforcement field can apply. / $500 / http://coastalbendcrimestoppers.com/sitemenu.aspx?P=custom&D=2&ID=555
Del Mar College Foundation Scholarships / 2/20/2018 / 4/30/2018 / Seniors (and Dual Credit Students) / No / Eligibility: Students MUST have at least a 2.0 cumulative GPA to apply and will attend Del Mar College at least on a part-time (6-11 hrs) status. / TBA / http://www.delmar.edu/foundation/Scholarships-HowToApply.aspx
TILF Scholarship / 10/30/2017 / 5/11/2018 (Scholarship is available on 3/1/18) / Seniors / No / TILF provides scholarships to students who participate in UIL academic and music competitions. The student must compete at the state level in a UIL academic contest and must plan to attend a TX college or university. / TBA / www.tilfoundation.org
B. Davis Scholarship / 10/24/2017 / 5/22/2018 / Juniors, Seniors, and post-secondary students / No / Write a 1000 word essay on the topic listed. / $1,000 / http://www.studentawardsearch.com/scholarships.htm
2018 Scholarship & ESPY Experience / 12/12/2017 / 6/1/2018 / 10th- 12th Athletes / No / HS athletes who have a 3.0 or higher GPA, 12.5 hours per grading period of community service (50 hours by 6/1), and committed to athletics. / $2,500 and a trip / https://www.wearegc.org/scholarship
BigSun Scholarship / 11/13/2017 / 6/19/2018 / Senior or post-secondary student / All student-athletes are eligible for this award, regardless of which sport they are participating in. Their participation may be in any capacity, whether as a player, coach or official. / $500 / http://www.bigsunathletics.com
Abbott and Fenner Scholarship Program / 1/25/2018 / 6/14/2018 / Seniors / No / To apply, you will need to write a 500-1000 word essay on the topic listed. / $1,000 / http://www.abbottandfenner.com/scholarships.php
Nursing Schools Alamanac Scholarship / 1/25//2018 / 8/31/2018 / Seniors / No / The scholarship will be awarded to the applicant who demonstrates: